[Wanted]
Next, restate only the lines underneath with the word "calculation" in them.

[File]
~~~
Formula: C6H9N2
Source: the OMol25 dataset
Level of theory: the ωB97M-V functional and the def2-TZVPD basis

```
17
Properties=species:S:1:pos:R:3:forces:R:3:nbo_charge:R:1
C -2.7565 -0.3454 0.1191 1.3 -1.6 0.6 -0.238
C -2.3931 1.0118 -0.1661 3.2 -0.9 0.5 0.062
C -1.5591 -1.0589 0.2064 -2.4 0.6 1.3 -0.036
C 2.0979 1.6996 -0.2889 -1.2 -4.2 0.4 -0.285
C 0.7227 -0.2924 0.0824 3.4 4.0 -0.5 0.512
C 1.6564 -1.4344 0.0839 -3.0 0.2 3.4 -0.728
N -1.0811 1.1498 -0.2161 -0.9 1.5 0.8 -0.217
N -0.5200 -0.0597 0.1484 -2.1 -2.5 -1.6 -0.289
H -3.7698 -0.6697 0.3728 0.6 -0.2 -0.5 0.270
H -2.9441 1.9082 -0.1950 -0.9 0.6 -0.5 0.249
H -1.3868 -2.1185 0.5288 0.0 1.4 -0.5 0.263
H 1.4489 2.1855 -0.9670 -0.4 0.6 -0.6 0.216
H 2.6815 0.8249 -0.6517 0.1 1.6 0.1 0.198
H 1.5134 -1.8904 -0.8426 -0.4 -1.6 -1.5 0.277
H 2.6079 -0.9982 0.0705 1.6 0.0 0.5 0.250
H 1.3792 -2.0537 1.0426 1.0 0.6 -2.0 0.278
H 2.3026 2.1414 0.6725 0.0 -0.1 0.1 0.218
```
Forces are in eV/Å.

The calculation puts the molar mass at 109.2 g mol⁻¹. The calculation puts the frontier orbital gap (spin up / spin down) at 8.659 / 8.658 eV. The LUMO energy (spin up / spin down) comes out at -0.192 / -0.192 hartree. The net charge is +1. As for the energy: -9335.614 eV.

=====

Formula: C6H9N2
Source: the OMol25 dataset
Level of theory: the ωB97M-V functional and the def2-TZVPD basis

```
17
Properties=species:S:1:pos:R:3:forces:R:3:nbo_charge:R:1
C 2.4349 0.8968 0.2377 0.5 -0.5 1.2 -0.054
C 1.1093 0.9334 0.1279 -0.7 1.3 -0.7 -0.036
C 1.7196 -1.0994 -0.1966 -2.0 -1.3 -1.7 0.253
C -1.7530 0.3166 -0.7360 -2.0 -0.9 0.9 -0.521
C -2.1774 0.1770 0.7462 1.5 -0.9 -1.3 -0.251
C -0.6182 -0.6079 -0.6456 -1.8 -2.7 0.4 0.012
N 2.8163 -0.4429 0.0764 0.6 0.4 0.0 -0.459
N 0.6622 -0.2604 -0.2817 1.0 -1.2 0.7 -0.307
H 2.8689 1.6588 0.8160 1.7 0.5 0.1 0.260
H 0.3970 1.6991 0.3257 0.0 0.7 0.0 0.252
H 1.6169 -2.1301 -0.5138 0.4 0.1 0.2 0.245
H -2.6053 0.1973 -1.4527 1.0 -1.0 0.6 0.273
H -1.4616 1.2569 -1.0101 1.1 2.8 -0.2 0.228
H -1.6358 0.6846 1.5498 -0.1 -0.1 -0.4 0.192
H -2.8102 -0.6587 1.0570 0.2 0.3 -0.3 0.213
H -0.6508 -1.7162 -0.8235 -0.6 1.4 0.1 0.228
H 3.7061 -0.9609 -0.0191 -0.4 1.2 0.4 0.472
```
Forces are in eV/Å.

The calculation puts the molar mass at 109.2 g mol⁻¹. The calculation puts the frontier orbital gap (spin up / spin down) at 7.919 / 8.167 eV. The LUMO energy (spin up / spin down) comes out at -0.160 / -0.141 hartree. The net charge is +1. As for the energy: -9337.949 eV.

=====

Formula: C6H9N2O2
Source: the OMol25 dataset
Level of theory: the ωB97M-V functional and the def2-TZVPD basis

```
19
Properties=species:S:1:pos:R:3:forces:R:3:nbo_charge:R:1
C -0.5457 2.2633 -2.7866 0.0 0.2 0.2 -0.629
C -0.6619 2.0810 0.7778 0.3 0.4 0.1 0.166
C 0.5249 1.1197 -0.7757 0.3 0.7 0.0 -0.107
C -0.2704 2.0953 -1.3213 -0.1 -1.0 -0.3 0.063
N 0.3222 1.1821 0.5777 0.0 -0.9 -0.2 -0.526
N -1.0176 2.6796 -0.3362 -0.3 0.3 0.1 -0.497
H 0.5879 0.3875 1.1644 -0.2 -0.2 0.3 0.478
H -1.0386 2.3188 1.7592 -0.1 -0.1 0.0 0.185
H 1.2604 0.4665 -1.2207 -0.2 -0.1 0.1 0.213
H 0.0942 3.0114 -3.2608 -0.1 0.0 0.0 0.200
H -1.5934 2.5392 -2.9270 0.1 0.1 0.0 0.218
H -0.3878 1.3022 -3.2798 0.1 0.1 -0.1 0.211
C 0.7039 -2.6555 -0.3115 -0.6 -0.3 -0.6 -0.740
C 0.3002 -2.6859 1.1797 0.0 -0.1 -0.1 0.770
O 0.4621 -1.5810 1.7639 0.1 0.5 0.2 -0.837
O -0.1749 -3.7355 1.6442 0.1 0.0 -0.1 -0.758
H 1.7043 -2.2444 -0.4575 -0.1 0.1 0.0 0.193
H -0.0475 -2.0335 -0.8101 0.3 0.4 0.1 0.203
H 0.5941 -3.5982 -0.8589 0.3 -0.2 0.5 0.192
```
Forces are in eV/Å.

The calculation puts the molar mass at 141.2 g mol⁻¹. The calculation puts the frontier orbital gap at 8.045 eV. The LUMO energy comes out at 0.131 hartree. The net charge is -1. As for the energy: -13445.283 eV.

=====

Formula: C6H9N2O2
Source: the OMol25 dataset
Level of theory: the ωB97M-V functional and the def2-TZVPD basis

```
19
Properties=species:S:1:pos:R:3:forces:R:3:nbo_charge:R:1
C -1.1811 1.0776 -0.7685 -1.6 -3.4 1.2 -0.023
C -2.5661 0.5593 -0.9873 -0.3 2.3 -0.3 -0.372
~~~

[Outcome]
The calculation puts the molar mass at 109.2 g mol⁻¹. The calculation puts the frontier orbital gap (spin up / spin down) at 8.659 / 8.658 eV. The LUMO energy (spin up / spin down) comes out at -0.192 / -0.192 hartree. The net charge is +1. As for the energy: -9335.614 eV.
The calculation puts the molar mass at 109.2 g mol⁻¹. The calculation puts the frontier orbital gap (spin up / spin down) at 7.919 / 8.167 eV. The LUMO energy (spin up / spin down) comes out at -0.160 / -0.141 hartree. The net charge is +1. As for the energy: -9337.949 eV.
The calculation puts the molar mass at 141.2 g mol⁻¹. The calculation puts the frontier orbital gap at 8.045 eV. The LUMO energy comes out at 0.131 hartree. The net charge is -1. As for the energy: -13445.283 eV.